Wanted >
Reproduce the contents further below without altering anything.

Input >
+++
(1)
The following is a GGA-PBE calculation of crystalline Pm3TeIrBr at its relaxed geometry, from the Alexandria database.

## Properties
Density of states at the Fermi level, states/eV per cell: 6.167

Structure (CIF):
```
data_Pm3TeIrBr
_chemical_formula_sum 'Pm6 Te2 Ir2 Br2'
_cell_length_a 8.9892
_cell_length_b 4.1967
_cell_length_c 10.6886
_cell_angle_alpha 90.00
_cell_angle_beta 91.31
_cell_angle_gamma 90.00
_space_group_name_H-M_alt 'P 1 21/m 1'
_space_group_IT_number 11
_space_group_name_Hall '-P 2yb'
loop_
_atom_site_label
_atom_site_type_symbol
_atom_site_fract_x
_atom_site_fract_y
_atom_site_fract_z
_atom_site_occupancy
Pm1 Pm 0.1070 0.2500 0.3712 1
Pm2 Pm 0.1372 0.2500 0.8907 1
Pm3 Pm 0.3401 0.7500 0.6314 1
Te1 Te 0.3851 0.7500 0.3356 1
Ir1 Ir 0.1184 0.2500 0.6391 1
Br1 Br 0.3616 0.7500 0.9228 1
```



(2)
The following is a GGA-PBE calculation of crystalline Pm6Te3Ir2Br at its relaxed geometry, from the Alexandria database.

## Properties
Density of states at the Fermi level, states/eV per cell: 13.591

Structure (CIF):
```
data_Pm6Te3Ir2Br
_chemical_formula_sum 'Pm12 Te6 Ir4 Br2'
_cell_length_a 19.3061
_cell_length_b 4.2433
_cell_length_c 9.0059
_cell_angle_alpha 90.00
_cell_angle_beta 105.40
_cell_angle_gamma 90.00
_space_group_name_H-M_alt 'C 1 2/m 1'
_space_group_IT_number 12
_space_group_name_Hall '-C 2y'
loop_
_atom_site_label
_atom_site_type_symbol
_atom_site_fract_x
_atom_site_fract_y
_atom_site_fract_z
_atom_site_occupancy
Pm1 Pm 0.0209 0.0000 0.2670 1
Pm2 Pm 0.1750 0.5000 0.5653 1
Pm3 Pm 0.1772 0.5000 0.1346 1
Te1 Te 0.0000 0.5000 0.5000 1
Te2 Te 0.1547 0.0000 0.8458 1
Ir1 Ir 0.1700 0.0000 0.3416 1
Br1 Br 0.0000 0.5000 0.0000 1
```



(3)
The following is a GGA-PBE calculation of crystalline Pm4TeIrBr2 at its relaxed geometry, from the Alexandria database.

## Properties
Density of states at the Fermi level, states/eV per cell: 6.059

Structure (CIF):
```
data_Pm4TeIrBr2
_chemical_formula_sum 'Pm4 Te1 Ir1 Br2'
_cell_length_a 7.7991
_cell_length_b 4.1834
_cell_length_c 7.9523
_cell_angle_alpha 90.00
_cell_angle_beta 108.57
_cell_angle_gamma 90.00
_space_group_name_H-M_alt 'P 1 2/m 1'
_space_group_IT_number 10
_space_group_name_Hall '-P 2y'
loop_
_atom_site_label
_atom_site_type_symbol
_atom_site_fract_x
_atom_site_fract_y
_atom_site_fract_z
_atom_site_occupancy
Pm1 Pm 0.2007 0.0000 0.2040 1
Pm2 Pm 0.2185 0.5000 0.7793 1
Te1 Te 0.0000 0.0000 0.5000 1
Ir1 Ir 0.0000 0.5000 0.0000 1
Br1 Br 0.5000 0.0000 0.0000 1
Br2 Br 0.5000 0.5000 0.5000 1
```



(4)
The following is a GGA-PBE calculation of crystalline PmThIrBr at its relaxed geometry, from the Alexandria database.

## Properties
Density of states at the Fermi level, states/eV per cell: 7.647

Structure (CIF):
```
data_PmThIrBr
_chemical_formula_sum 'Pm3 Th3 Ir3 Br3'
_cell_length_a 4.1816
_cell_length_b 4.1816
_cell_length_c 23.8172
_cell_angle_alpha 90.00
_cell_angle_beta 90.00
_cell_angle_gamma 120.00
_space_group_name_H-M_alt 'R 3 m'
_space_group_IT_number 160
_space_group_name_Hall 'R 3 -2"'
loop_
_atom_site_label
_atom_site_type_symbol
_atom_site_fract_x
_atom_site_fract_y
_atom_site_fract_z
_atom_site_occupancy
Pm1 Pm 0.0000 0.0000 0.0000 1
Th1 Th 0.0000 0.0000 0.2088 1
Ir1 Ir 0.0000 0.0000 0.6007 1
Br1 Br 0.0000 0.0000 0.7728 1
```



(5)
The following is a GGA-PBE calculation of crystalline Pm6ZnIr2Br3 at its relaxed geometry, from the Alexandria database.

## Properties
Density of states at the Fermi level, states/eV per cell: 15.589

Structure (CIF):
```
data_Pm6ZnIr2Br3
_chemical_formula_sum 'Pm12 Zn2 Ir4 Br6'
_cell_length_a 7.2245
_cell_length_b 12.5133
_cell_length_c 8.1037
_cell_angle_alpha 90.00
_cell_angle_beta 107.29
_cell_angle_gamma 90.00
_space_group_name_H-M_alt 'C 1 2/m 1'
_space_group_IT_number 12
_space_group_name_Hall '-C 2y'
loop_
_atom_site_label
_atom_site_type_symbol
_atom_site_fract_x
_atom_site_fract_y
_atom_site_fract_z
_atom_site_occupancy
Pm1 Pm 0.2151 0.0000 0.2008 1
Pm2 Pm 0.2428 0.3242 0.2011 1
+++

Outcome >
(1)
The following is a GGA-PBE calculation of crystalline Pm3TeIrBr at its relaxed geometry, from the Alexandria database.

## Properties
Density of states at the Fermi level, states/eV per cell: 6.167

Structure (CIF):
```
data_Pm3TeIrBr
_chemical_formula_sum 'Pm6 Te2 Ir2 Br2'
_cell_length_a 8.9892
_cell_length_b 4.1967
_cell_length_c 10.6886
_cell_angle_alpha 90.00
_cell_angle_beta 91.31
_cell_angle_gamma 90.00
_space_group_name_H-M_alt 'P 1 21/m 1'
_space_group_IT_number 11
_space_group_name_Hall '-P 2yb'
loop_
_atom_site_label
_atom_site_type_symbol
_atom_site_fract_x
_atom_site_fract_y
_atom_site_fract_z
_atom_site_occupancy
Pm1 Pm 0.1070 0.2500 0.3712 1
Pm2 Pm 0.1372 0.2500 0.8907 1
Pm3 Pm 0.3401 0.7500 0.6314 1
Te1 Te 0.3851 0.7500 0.3356 1
Ir1 Ir 0.1184 0.2500 0.6391 1
Br1 Br 0.3616 0.7500 0.9228 1
```



(2)
The following is a GGA-PBE calculation of crystalline Pm6Te3Ir2Br at its relaxed geometry, from the Alexandria database.

## Properties
Density of states at the Fermi level, states/eV per cell: 13.591

Structure (CIF):
```
data_Pm6Te3Ir2Br
_chemical_formula_sum 'Pm12 Te6 Ir4 Br2'
_cell_length_a 19.3061
_cell_length_b 4.2433
_cell_length_c 9.0059
_cell_angle_alpha 90.00
_cell_angle_beta 105.40
_cell_angle_gamma 90.00
_space_group_name_H-M_alt 'C 1 2/m 1'
_space_group_IT_number 12
_space_group_name_Hall '-C 2y'
loop_
_atom_site_label
_atom_site_type_symbol
_atom_site_fract_x
_atom_site_fract_y
_atom_site_fract_z
_atom_site_occupancy
Pm1 Pm 0.0209 0.0000 0.2670 1
Pm2 Pm 0.1750 0.5000 0.5653 1
Pm3 Pm 0.1772 0.5000 0.1346 1
Te1 Te 0.0000 0.5000 0.5000 1
Te2 Te 0.1547 0.0000 0.8458 1
Ir1 Ir 0.1700 0.0000 0.3416 1
Br1 Br 0.0000 0.5000 0.0000 1
```



(3)
The following is a GGA-PBE calculation of crystalline Pm4TeIrBr2 at its relaxed geometry, from the Alexandria database.

## Properties
Density of states at the Fermi level, states/eV per cell: 6.059

Structure (CIF):
```
data_Pm4TeIrBr2
_chemical_formula_sum 'Pm4 Te1 Ir1 Br2'
_cell_length_a 7.7991
_cell_length_b 4.1834
_cell_length_c 7.9523
_cell_angle_alpha 90.00
_cell_angle_beta 108.57
_cell_angle_gamma 90.00
_space_group_name_H-M_alt 'P 1 2/m 1'
_space_group_IT_number 10
_space_group_name_Hall '-P 2y'
loop_
_atom_site_label
_atom_site_type_symbol
_atom_site_fract_x
_atom_site_fract_y
_atom_site_fract_z
_atom_site_occupancy
Pm1 Pm 0.2007 0.0000 0.2040 1
Pm2 Pm 0.2185 0.5000 0.7793 1
Te1 Te 0.0000 0.0000 0.5000 1
Ir1 Ir 0.0000 0.5000 0.0000 1
Br1 Br 0.5000 0.0000 0.0000 1
Br2 Br 0.5000 0.5000 0.5000 1
```



(4)
The following is a GGA-PBE calculation of crystalline PmThIrBr at its relaxed geometry, from the Alexandria database.

## Properties
Density of states at the Fermi level, states/eV per cell: 7.647

Structure (CIF):
```
data_PmThIrBr
_chemical_formula_sum 'Pm3 Th3 Ir3 Br3'
_cell_length_a 4.1816
_cell_length_b 4.1816
_cell_length_c 23.8172
_cell_angle_alpha 90.00
_cell_angle_beta 90.00
_cell_angle_gamma 120.00
_space_group_name_H-M_alt 'R 3 m'
_space_group_IT_number 160
_space_group_name_Hall 'R 3 -2"'
loop_
_atom_site_label
_atom_site_type_symbol
_atom_site_fract_x
_atom_site_fract_y
_atom_site_fract_z
_atom_site_occupancy
Pm1 Pm 0.0000 0.0000 0.0000 1
Th1 Th 0.0000 0.0000 0.2088 1
Ir1 Ir 0.0000 0.0000 0.6007 1
Br1 Br 0.0000 0.0000 0.7728 1
```



(5)
The following is a GGA-PBE calculation of crystalline Pm6ZnIr2Br3 at its relaxed geometry, from the Alexandria database.

## Properties
Density of states at the Fermi level, states/eV per cell: 15.589

Structure (CIF):
```
data_Pm6ZnIr2Br3
_chemical_formula_sum 'Pm12 Zn2 Ir4 Br6'
_cell_length_a 7.2245
_cell_length_b 12.5133
_cell_length_c 8.1037
_cell_angle_alpha 90.00
_cell_angle_beta 107.29
_cell_angle_gamma 90.00
_space_group_name_H-M_alt 'C 1 2/m 1'
_space_group_IT_number 12
_space_group_name_Hall '-C 2y'
loop_
_atom_site_label
_atom_site_type_symbol
_atom_site_fract_x
_atom_site_fract_y
_atom_site_fract_z
_atom_site_occupancy
Pm1 Pm 0.2151 0.0000 0.2008 1
Pm2 Pm 0.2428 0.3242 0.2011 1